District Planning and Accreditation Committee November 20, 2015 Minutes

District Planning and Accreditation Committee
November 20, 2015 Minutes
District Office, Board Hearing Room
Present: Mary Jo Apigo (West), Adrianna Barrera (ESC), Karen Daar (Valley), Barbara Dunsheath
(East), Angela Echeverri (Mission), Don Gauthier (ESC), Bobbi Kimble (ESC), Carol Kozeracki (East),
Maury Pearl (ESC), Alice Taylor (West), Allison Tom-Miura (ESC)
The minutes of the October 23rd meeting were reviewed and approved.
2014-15 Committee Self-Evaluation:
A comprehensive committee evaluation was conducted in 2015 and has been signed by committee cochairs. The self-evaluation received final approval and has been posted on the governance website.
Review of Planning Section of Governance Manual:
The Committee conducted a final review of the planning section of the Governance and Functions
Handbook. Changes and feedback received at previous meeting were made and the final document has
been posted on the Planning and Accreditation website.
Accreditation Check-In:
Colleges reported on the status of their self-evaluation reports. Valley’s report was approved by the
Academic Senate. Writing continues to be tweaked and it will be sent to the ACCJC by January 6th.
East’s report is undergoing a thorough editing. East is continuing to compile evidence and is adding
enhancements. West continues to compile evidence, is hiring a proof reader for the final edits, and is
adding finishing touches to its QFE. Bobbi has had a conference call with Barbara Beno to discuss the
size and composition of the team that will visit the ESC.
IE&SS Committee Update:
Dr. Barrera reported that she thought that all IE&SS visits to the colleges went well. The Board was able
to make constructive contributions to the reports. The visits also provided the new Board member with an
opportunity to see and hear from the college staff and observe differences between the colleges.
Finalize Functional Maps:
Allison led a detailed review of the District-College functional map. Each standard was reviewed as to
whether the function was primary, secondary, or shared for the college and the District. A consensus
approach was used to settle areas of disagreement. It was agreed that colleges would utilize/reference
the same version of the functional map in their reports. The finalized map will be posted on the
Accreditation and Planning webpage.
[Here the page breaks off for molecular data]
┌──
Run i
DFT (ωB97M-V/def2-TZVPD) results for a molecular structure, C5H11N3.

Geometry as XYZ:
```
19
Properties=species:S:1:pos:R:3:nbo_charge:R:1
N 1.2909 -1.2075 -1.7152 -0.681
N -0.3762 1.1831 1.6103 -0.874
N -0.4585 -0.0609 -0.6680 -0.363
C 0.9774 -0.2735 -0.8821 0.396
C -1.7134 -0.8257 1.5382 -0.668
C -0.6922 -0.0782 1.0460 0.191
C -1.3171 -0.5895 -1.4608 -0.015
C 1.8459 0.9527 -0.6653 -0.694
H 2.2619 -1.1150 -2.0088 0.343
H 0.1066 1.1664 2.4997 0.381
H 2.8209 0.6319 -0.2963 0.226
H -2.3583 -0.6359 -1.1600 0.204
H -0.9924 -1.0872 -2.3695 0.217
H -2.1158 -0.6079 2.5175 0.214
H 1.4063 1.6574 0.0350 0.257
H -2.0678 -1.7193 1.0434 0.197
H -1.2024 1.7615 1.7170 0.369
H 1.9835 1.4639 -1.6227 0.226
H 0.6008 -0.6163 0.8415 0.073
```

HOMO (spin up / spin down)   -6.821 / -6.820 eV
Gap between HOMO and LUMO (spin up / spin down)   7.02 / 7.02 eV
Multiplicity   1

=====

Run ii
DFT (ωB97M-V/def2-TZVPD) results for C5H11N3 in the gas phase.

Geometry as XYZ:
```
19
Properties=species:S:1:pos:R:3:nbo_charge:R:1
N -0.2744 1.6569 -0.0116 -0.605
N -0.9980 -1.3536 0.4296 -0.575
N 2.6009 -0.2521 -0.6585 -0.809
C 1.6299 -0.2355 0.4278 -0.022
C -1.7172 0.9094 -0.1790 -0.247
C 0.2449 -0.6342 0.1687 -0.131
C 0.4053 0.6732 0.7797 -0.128
C -1.9972 -0.7489 -0.5038 -0.249
H 3.6193 0.2525 -0.4459 0.365
H -0.5225 -2.2917 -0.2527 0.334
H -0.0369 -0.3402 -0.8919 0.142
H 2.2592 -0.6503 1.2948 0.215
H 2.3451 0.0303 -1.4766 0.342
H -2.0110 1.5562 -0.9016 0.199
H -2.1119 0.8869 0.8364 0.196
H 0.2405 0.4667 1.7628 0.204
H -1.7766 -1.0741 -1.4422 0.192
H -2.9282 -0.7373 0.0210 0.223
H 0.2302 1.7580 -0.9813 0.354
```

HOMO   -8.254 eV
SMILES string   NC1[C@H]2NCCN[C@H]12
Gap between HOMO and LUMO   9.11 eV
Multiplicity   1

=====

Run iii
DFT (ωB97M-V/def2-TZVPD) results for C5H11N3 in the gas phase.

Geometry as XYZ:
```
19
Properties=species:S:1:pos:R:3:nbo_charge:R:1
N 0.6540 -0.7070 -0.9205 -0.622
N -0.9775 -0.8401 -2.4893 -0.727
N 1.9661 1.8576 -0.3485 -0.594
C 1.4354 1.1384 0.5402 0.126
C 0.9562 -0.2938 0.4385 -0.125
C -0.3249 -0.1340 -1.6695 0.275
C -1.5388 0.0057 1.0112 -0.625
C -0.1971 -0.5933 1.4213 -0.400
H -1.9108 -0.4435 0.0888 0.223
H 0.0933 -0.2230 2.4101 0.204
H -1.4529 1.0855 0.8730 0.203
H -1.6173 -0.3162 -3.0872 0.347
H -0.3090 -1.6791 1.4984 0.207
H -0.4298 0.9482 -1.5132 0.161
H 1.8279 -0.8930 0.7625 0.227
H 0.6900 -1.7119 -1.0651 0.397
H 2.0364 1.4152 -1.2678 0.339
H -2.2668 -0.1768 1.7984 0.220
H 1.3656 1.5612 1.5186 0.166
```

HOMO   -9.209 eV
SMILES string   [H]/N=C\[C@@H](CC)N/C=N/[H]
Gap between HOMO and LUMO   10.09 eV
Multiplicity   1

=====

Most stable structure - run iii; separation to the second - 4.598 eV.

=====

Run i
DFT (ωB97M-V/def2-TZVPD) results for a molecular structure, C8H17N2O.

Geometry as XYZ:
```
28
Properties=species:S:1:pos:R:3:nbo_charge:R:1
O -1.6634 -0.7279 1.7228 -0.457
N 0.1122 0.2227 -0.1328 -0.438
N 1.3300 -0.6077 0.0623 -0.086
C 1.7217 -0.7144 1.5550 -0.396
C 0.2862 1.6522 0.2549 -0.250
C -0.8743 2.5245 -0.3059 -0.607
└──
Next Meeting:
Friday, February 26, 2016, 1:00 p.m. to 3:00 p.m.
Board Hearing Room, ESC